The Murl Engine is a cross platform multimedia framework. It is used to develop native apps and games for smartphones, tablets and PCs (Android, iOS, Windows, OSX, Linux).
┌──
Entry 1:
Here is C45H43N4NiO5S3Te as an isolated structure in a non-equilibrium geometry from the Open Molecules 2025 dataset. Energies are from wB97M-V/def2-TZVPD.

As for the charge: -2. Its multiplicity is 2. As for the total energy: -5306.76555 Ha. The calculation puts the LUMO energy (spin up / spin down) at 3.9 / 3.9 eV. The orbital gap (spin up / spin down) is 5.76 / 5.48 eV.

XYZ file:
```
102
Properties=species:S:1:pos:R:3:forces:R:3:lowdin_spin:R:1
H 4.712639 -2.003335 1.633324 0.002 -0.026 -0.015 0.00
C 2.184783 1.967273 0.579768 0.034 0.063 0.026 0.00
C 4.059322 1.324310 -4.419557 0.072 0.106 -0.045 0.00
H -4.326756 -0.413513 2.921846 -0.001 0.002 -0.105 0.00
H -5.463558 -3.209125 6.643502 0.009 -0.006 -0.003 0.00
N -3.461363 -0.459055 -0.843879 -0.010 -0.036 0.276 0.00
C -6.252104 -1.952786 5.062136 0.229 0.020 -0.047 0.00
H -1.793627 -2.057157 0.894160 -0.057 -0.156 -0.121 0.00
S 0.681381 -0.795716 1.363354 0.196 -0.277 -0.197 0.00
H 4.046732 -0.779959 -3.947654 0.012 0.008 0.003 0.00
C -1.457603 -3.060030 0.653050 0.158 0.075 -0.082 0.00
C 6.157518 4.203400 -5.770983 0.051 0.041 -0.051 0.00
C 4.047310 -2.778413 1.248313 -0.019 -0.010 0.041 0.00
H 4.397072 2.254062 3.115795 0.002 -0.001 0.018 0.00
H -2.193779 -6.300201 1.293567 -0.001 -0.005 0.013 0.00
H -2.998633 -3.992237 1.793980 -0.019 -0.006 0.012 0.00
H -4.366874 -1.683982 -2.755498 0.015 0.005 0.002 0.00
H 2.050593 2.857337 2.519365 0.000 0.011 0.016 0.00
C 5.198275 3.408095 -4.928102 -0.010 -0.066 -0.018 0.00
C -0.350275 -3.215977 -0.169358 0.090 -0.067 -0.037 0.00
C -5.210645 -2.545269 5.824764 0.135 0.009 0.033 0.00
H 0.931804 -4.625539 -1.122306 0.005 -0.004 -0.024 0.00
S -1.944048 -1.228319 3.948313 0.040 0.041 -0.360 0.01
H -2.273112 3.603248 4.047527 0.020 -0.009 -0.005 0.00
C -0.560285 -5.608124 0.079386 0.009 -0.037 -0.009 0.00
H 0.008657 5.380377 -1.029949 0.007 0.015 -0.011 0.00
H 4.491265 -0.394157 -5.626971 0.007 -0.012 -0.011 0.00
N -2.644805 0.354951 -0.050914 -0.032 -0.012 -0.345 0.02
H 0.266533 5.604599 1.453139 0.028 0.003 0.006 0.00
H 4.610239 -0.807593 -1.256409 0.002 0.015 0.034 0.00
C -5.104066 -2.181009 -0.819388 0.031 0.062 0.009 0.00
C -1.676246 -5.437040 0.890401 -0.019 -0.047 0.008 0.00
C 4.266510 0.898362 -0.000820 0.110 -0.003 0.058 0.00
N -4.568377 -0.870985 3.808787 -0.166 -0.206 -0.316 0.00
H -7.426119 -4.695314 -2.633687 -0.008 -0.004 -0.005 0.00
N 0.727882 -0.936656 -0.297058 -0.048 0.435 0.387 0.00
H -1.141458 3.371755 -1.922529 -0.008 -0.008 -0.033 0.00
C 0.343522 -2.068751 -0.891549 0.002 -0.342 -0.494 0.00
O -4.256951 -1.240720 1.192212 0.183 -0.180 0.206 0.02
O 2.777129 -2.224459 0.937482 -0.028 0.093 -0.035 0.00
H -0.914201 3.945910 5.150951 -0.029 -0.014 0.002 0.00
H 6.682358 3.559523 -6.477973 0.004 -0.007 -0.008 0.00
H -7.293650 -2.161435 5.247197 -0.023 -0.002 0.027 0.00
H -5.854654 -3.288488 -3.934270 -0.007 -0.012 0.005 0.00
O 0.545538 -2.254804 -2.101692 -0.120 -0.024 0.121 0.00
└──
The records of molecules stop here:
I just downloaded assimp 3.0 library and build the required make files with cmake, then compiled and build the library itself the process was For windows: Download and install the following dependencies: and build samples\external\assimp-4.1.0\compiler\vc14winXX-cmake\Assimp.sln The target iOS deployment version is 8.0 by default (can be changed inside the project generator script). Go to compiler\android-arm64-v8a-release-cmake folder and run:. 2017年9月22日 Windows环境下编译Assimp库生成Android可用的.so文件前言在做项目过程中需要使用A. 在做项目过程中需要使用Assimp这个3D模型读取库来读取obj格式的 了一套统一的方式,而且它还是开源跨平台的(Android/iOS 也都有支持)。 相关下载链接:// 论坛 2018年9月17日 下载Assimp源码 以上为arm64架构平台的.a库,如果需要编译.so则需要将脚本中 下编译ffmpeg的过程:第一步:下载ffmpeg,我下载的是ffmpeg-3.1.4(下载地址:第二步:. 开源的Android 和闭源的iOS,作为用户的你,更偏向哪一个呢? Complete package of the Murl Engine incl. tutorials. Installation: MAC & Windows Targets: Android, iOS, tvOS, Mac, Windows, emscripten.
********
A | Below is C3H4ClF in the gas phase, with properties calculated with ωB97M-V with the def2-TZVPD basis set.

- HOMO level (alpha / beta) (eV) = -8.7868 / -8.7615
- charge = 0

XYZ file:
```
9
Properties=species:S:1:pos:R:3:lowdin_charge:R:1
C -0.38736 0.35560 0.31352 -0.263
C -1.14841 -0.65949 -0.37384 0.009
C 1.33502 0.40993 0.42429 -0.613
F 1.81897 1.43687 -0.29308 -0.056
Cl 2.17313 -1.02307 -0.01302 0.642
H -0.46907 1.31865 -0.18766 0.092
H -0.69135 0.44250 1.35284 0.087
H -1.64584 -1.42056 0.19638 0.048
H -0.98508 -0.86044 -1.41943 0.053
```

B | Below is C3H4ClF in the gas phase, with properties calculated with ωB97M-V with the def2-TZVPD basis set.

- HOMO level (eV) = -10.1811
- charge = 0
- SMILES = C=C[C@@H](F)Cl

XYZ file:
```
9
Properties=species:S:1:pos:R:3:lowdin_charge:R:1
C -0.03288 0.43173 0.41528 -0.741
C 1.12542 -0.41646 0.58952 -0.216
C 2.12806 -0.44623 -0.33939 0.043
H -0.76567 0.63109 1.41752 0.138
H 0.78207 -1.13664 1.44853 0.140
H 3.09634 -1.01314 -0.75054 0.123
H 2.14699 0.20366 -1.06698 -0.018
F -0.16010 1.66286 -0.17209 -0.040
Cl -1.36132 -0.65088 -0.20542 0.571
```

C | Below is 2 unconnected molecules or ions with the total composition C3H4ClF, with properties calculated with ωB97M-V with the def2-TZVPD basis set.

- HOMO level (eV) = -9.0574
- charge = 0

XYZ file:
```
9
Properties=species:S:1:pos:R:3:lowdin_charge:R:1
C -1.32002 0.19801 -0.79015 -0.022
C -1.30506 0.22073 0.50453 -0.311
C 2.41434 -0.83263 -0.06703 -0.468
F -1.42928 1.28523 1.30573 -0.006
Cl 2.40652 0.28485 1.14176 0.564
H -1.42970 1.19463 -1.38766 0.097
H -1.43043 -0.78019 -1.40335 0.094
H -1.34597 -0.70007 1.17322 0.130
H 3.43961 -0.87054 -0.47706 -0.077
```

B wins, 0.866 eV ahead of the next structure.

A | Below is 15 unconnected molecules or ions with the total composition C30H90O15, with properties calculated with ωB97M-V with the def2-TZVPD basis set.

- HOMO level (eV) = -9.2981
- charge = 0

XYZ file:
```
135
Properties=species:S:1:pos:R:3:lowdin_charge:R:1
C 4.50017 25.11124 -15.09658 -0.078
C 3.90492 26.21814 -15.96594 -0.292
O 3.31640 27.27238 -15.17819 -0.083
H 4.71283 24.20449 -15.67377 0.068
H 3.85612 24.83685 -14.25858 0.064
H 5.43931 25.44841 -14.64466 0.069
H 3.13351 25.82314 -16.63892 0.103
H 4.68883 26.65546 -16.58385 0.096
H 2.46068 26.94288 -14.88436 0.078
C 6.36571 21.09213 -16.29053 -0.069
C 7.12984 22.39358 -16.18164 -0.290
O 7.24870 22.72720 -14.80035 -0.117
H 6.36994 20.66570 -17.29781 0.062
H 5.30667 21.23415 -16.06408 0.059
H 6.79948 20.36179 -15.61099 0.060
H 6.61981 23.19404 -16.72224 0.093
H 8.13399 22.23560 -16.60074 0.088
H 7.92505 23.45862 -14.69160 0.075
C 10.87888 21.52744 -16.89295 -0.092
C 12.09655 20.87335 -16.34154 -0.340
O 13.12892 21.83988 -16.27680 -0.069
H 10.07016 20.80548 -17.02670 0.060
H 11.07154 21.96325 -17.87895 0.076
H 10.52955 22.33673 -16.25012 0.067
H 12.38132 19.97932 -16.90817 0.115
H 11.85400 20.51541 -15.32462 0.103
H 13.97139 21.41091 -16.11250 0.086
C 4.84466 18.09878 -14.53214 -0.074
********
GitHub Gist: instantly share code, notes, and snippets. by Paul Hegarty at Stanford : Best free video lecture on iOS programming (2)srpen 2017https://gamefromscratch.comUnity’s XR team has been working hand-in-hand with the Immersive Computing team at Google to overcome some of the most difficult challenges AR development presents. Ffmpeg cross compile script Any University student can download given B. I am trying to animate a texture in OpenGL. github. Polygonal modeling is well suited to scanline rendering and is therefore the method of choice for real-time computer graphics. Gltf Converter
11 Nov 2019 ResourceFolders during package upgrade view commit; [Templates] Sample [Build] Fix iOS solution view commit; [Build] Moved PackAssets task in Xenko. "[Assimp] Updated assimp to official 4.1.0 and updated references in were incompatible with arm64 due to SLuint32 mapping to long instead of 7 Mar 2019 information or technology may be downloaded or otherwise exported or reexported ASSIMP. Open Asset Import Library. CDB. OGC CDB (a datastore The second was built by GIS-FCU, using ARKit, and runs on iOS. both 32-bit (armeabi v7a) and 64-bit (arm64-v8a), and tested on multiple devices. libc6-arm64-cross. Buster:(2.28-7cross1) libiec16022-0. Buster & Stretch:(0.2.4-1.2) Library to generate 2d ISO/IEC 16022 barcodes (data matrix/semacode) www Buster:(5.11.3+dfsg-2) Qt 3D GL Assimp scene import plugin www iso, Install app-cdr/cdrtools in order to prepare iso images Include the Shenandoah ultra-low pause time garbage collector (-XX:+UseShenandoahGC) (arm64 and x86_64 only) sundials, Add support for sundials assimp (sci-libs/sundials). Added README for assimp-python - Update to release 3.1.1 (rhbz#1206371) - Remove iconv'ed THANKS from ISO-8859-1 (guessed) - Add Summary and defines (it's not arm64) - Renamed the virtual provides to with project needs.
26 May 2017 Visual C++ 2017 Redistributable download links: Visual C++ 2017 Redistributable (x86) Android device with API 21 is required for Arm64 architectures. iPhone: At least an iPhone 5s with iOS 11.2. We are always updating TriLib with the latest Assimp branch, to guarantee the most recent bug-fixes. - assimp iOS build script [!] Selecting architectures: armv7 [!] Target SDK set to DEVICE. -- Could NOT find PkgConfig (missing: 16 Jan 2018 Open Asset Import Library (short name: Assimp) is a portable Open Source library to import various well-known 3D model formats in a uniform 21 Jun 2017 it does seem to work on IOS without an issue, the problem is android. bin file), via WebClient. the download sceeds and trilib then loads the file I am also getting a missing on Android, but seems to only be on ARM64. I have some clues regarding the loading issue on Android: 14 Feb 2019 Issue: Undefined symbols in ios assimpExample: "irr::io::createIrrXMLReader(irr::io::IFileReadCallBack*)" Undefined symbols for architecture arm64: Assimp::IRRImporter::InternReadFile(std::__1::basic_string
• What comes next are data records, not part of the text:
<<<
(1)
Computed, not measured: a 2-piece molecular cluster, CH3F3P overall in a non-equilibrium geometry, with the ωB97M-V functional and the def2-TZVPD basis.

Each line ends with the natural charge from an NBO analysis.
Element x y z (Å)
C: -1.766025 -0.163614 -0.044358  -0.0340
F: 2.354888 1.447133 0.357433  -0.5188
F: 1.829913 -0.272721 -1.234392  -0.5382
F: 1.745427 -0.744036 1.088434  -0.5334
P: 1.301649 0.337349 0.122073  1.8986
H: -2.384353 0.697215 0.321830  0.2412
H: -1.692046 -1.192710 0.498239  0.2552
H: -1.389455 -0.108618 -1.109256  0.2294

Cartesian forces, eV/Å:
0.7 -1.0 -0.7
-0.5 -0.3 0.0
-0.5 0.5 0.9
0.3 -0.7 0.8
-0.3 0.2 -1.6
0.9 -0.8 0.0
-0.1 2.2 -0.8
-0.6 -0.1 1.3

- Energy relative to the best compared isomer or geometry (same formula, charge and spin): 2.699 eV
- Gap between HOMO and LUMO (alpha / beta): 0.28555 / 0.28558 Eh
- LUMO level (alpha / beta): -8.8 / -8.8 eV
- Net charge: +1

***

(2)
Computed, not measured: a 2-piece molecular cluster, CH3FN2O overall in a non-equilibrium geometry, with the ωB97M-V functional and the def2-TZVPD basis.

Each line ends with the natural charge from an NBO analysis.
Element x y z (Å)
C: -0.141074 -0.158347 0.111918  0.5340
N: 1.047955 -0.669972 0.098841  -0.7600
N: -0.452114 1.101810 0.131121  -0.2362
O: -1.511747 -1.840792 0.084591  -0.5656
F: -1.797086 1.253030 0.066819  -0.1960
H: 1.835273 -0.027344 -0.178591  0.3779
H: 1.162527 -1.651739 -0.047387  0.4419
H: -0.143735 1.993352 -0.267309  0.4042

Cartesian forces, eV/Å:
-2.6 -3.8 0.1
2.1 2.3 -0.9
-0.2 0.3 -0.3
2.5 3.2 0.1
-1.8 0.5 0.2
-0.8 -1.3 0.6
-0.2 -0.4 0.1
1.0 -0.8 0.2

- Energy relative to the best compared isomer or geometry (same formula, charge and spin): 7.676 eV
- Gap between HOMO and LUMO (alpha / beta): 0.31841 / 0.31903 Eh
- LUMO level (alpha / beta): -0.4 / -0.4 eV

***

(3)
Computed, not measured: CH3FN2O2 as an isolated structure in a non-equilibrium geometry, with the ωB97M-V functional and the def2-TZVPD basis.

Each line ends with the natural charge from an NBO analysis.
Element x y z (Å)
C: 0.112811 1.297968 -0.202651  -0.3163
N: -0.268270 -0.363688 0.710433  0.0565
N: -0.301291 -1.346010 -0.256057  0.5822
O: -0.943475 -1.015429 -1.231901  -0.4131
O: 0.164063 -2.431448 -0.096094  -0.3505
F: 0.682441 -0.562027 1.685765  -0.2162
H: -0.810538 1.489210 -0.580575  0.2093
H: 0.301440 1.687437 0.842878  0.2175
H: 1.062818 1.243988 -0.871798  0.2306

Cartesian forces, eV/Å:
3.9 -3.1 4.2
0.0 3.9 -1.2
-0.1 -0.8 -1.3
-0.3 0.5 -0.2
0.8 -0.7 1.0
0.2 -0.5 -0.7
-2.3 0.5 -1.3
-0.1 0.3 -1.7
-2.1 -0.3 1.2

- Energy relative to the best compared isomer or geometry (same formula, charge and spin): 4.343 eV
- Gap between HOMO and LUMO: 0.38477 Eh
- LUMO level: -0.5 eV

***

(4)
Computed, not measured: the molecule CH3FN2OS in a non-equilibrium geometry, with the ωB97M-V functional and the def2-TZVPD basis.

Each line ends with the natural charge from an NBO analysis.
Element x y z (Å)
C: -1.488361 0.015417 -0.003146  0.9359
>>>
Run E:\nx0\sw\devrel\libdev\NvCloth\trunk\samples\external\assimp-4.1.0 and build samples\external\assimp-4.1.0\compiler\vc14winXX-cmake\Assimp.sln